**Exercise**
What is needed: write out every line below that contains the word "eV".

**Material**
- - -
(1)
GGA-PBE SrB12H12, optimized geometry; DFT total energy = -5.2540 eV per atom; symmetry = P31c (159); corrected total energy (MP2020 scheme) = -5.34 eV per atom; crystal system = trigonal; formation energy = -10.9 eV per formula unit
1.0
7.1473 0.0000 0.0000
-3.5736 6.1897 0.0000
0.0000 0.0000 11.6028
Sr B H
2 24 24
direct
0.3333 0.6667 0.0000 Sr
0.6667 0.3333 0.5000 Sr
0.0759 0.4742 0.3440 B
0.1391 0.7312 0.3991 B
0.1743 0.5469 0.4866 B
0.2144 0.7073 0.2559 B
0.2688 0.4079 0.3991 B
0.2927 0.5072 0.2559 B
0.3726 0.8257 0.4866 B
0.3983 0.9241 0.3440 B
0.4079 0.2688 0.8991 B
0.4531 0.6274 0.4866 B
0.4742 0.0759 0.8440 B
0.4928 0.7856 0.2559 B
0.5072 0.2927 0.7559 B
0.5258 0.6017 0.3440 B
0.5469 0.1743 0.9866 B
0.5921 0.8609 0.3991 B
0.6017 0.5258 0.8440 B
0.6274 0.4531 0.9866 B
0.7073 0.2144 0.7559 B
0.7312 0.1391 0.8991 B
0.7856 0.4928 0.7559 B
0.8257 0.3726 0.9866 B
0.8609 0.5921 0.8991 B
0.9241 0.3983 0.8440 B
0.0017 0.7758 0.4193 H
0.0626 0.4618 0.5698 H
0.1073 0.4441 0.8227 H
0.1303 0.7374 0.1733 H
0.2242 0.2259 0.4193 H
0.2259 0.2242 0.9193 H
0.2626 0.3930 0.1733 H
0.3368 0.8927 0.8227 H
0.3930 0.2626 0.6733 H
0.3991 0.9374 0.5698 H
0.4441 0.1073 0.3227 H
0.4618 0.0626 0.0698 H
0.5382 0.6009 0.5698 H
0.5559 0.6632 0.8227 H
0.6009 0.5382 0.0698 H
0.6070 0.8697 0.1733 H
0.6632 0.5559 0.3227 H
0.7374 0.1303 0.6733 H
0.7741 0.9983 0.4193 H
0.7758 0.0017 0.9193 H
0.8697 0.6070 0.6733 H
0.8927 0.3368 0.3227 H
0.9374 0.3991 0.0698 H
0.9983 0.7741 0.9193 H



(2)
GGA-PBE Pr3GaO6, optimized geometry; DFT total energy = -7.7132 eV per atom; symmetry = Cmc2_1 (36); largest piezoelectric modulus = 0.4 C/m²; corrected total energy (MP2020 scheme) = -8.13 eV per atom; crystal system = orthorhombic; formation energy = -34.2 eV per formula unit
1.0
4.6843 -5.8618 0.0000
4.6843 5.8618 0.0000
0.0000 0.0000 5.6728
Pr Ga O
6 2 12
direct
0.1036 0.8964 0.5000 Pr
0.2010 0.4135 0.4560 Pr
0.4135 0.2010 0.9560 Pr
0.5865 0.7990 0.4560 Pr
0.7990 0.5865 0.9560 Pr
0.8964 0.1036 0.0000 Pr
0.3068 0.6932 0.9207 Ga
0.6932 0.3068 0.4207 Ga
0.0850 0.6083 0.7537 O
0.1459 0.1735 0.7265 O
0.1735 0.1459 0.2265 O
0.2847 0.7153 0.2463 O
0.3917 0.9150 0.7537 O
0.4560 0.5440 0.7903 O
0.5440 0.4560 0.2903 O
0.6083 0.0850 0.2537 O
0.7153 0.2847 0.7463 O
0.8265 0.8541 0.7265 O
0.8541 0.8265 0.2265 O
0.9150 0.3917 0.2537 O



(3)
GGA-PBE Na3YTi3P6O24, optimized geometry; DFT total energy = -7.5811 eV per atom; total moment = 0.000 μB per atom; symmetry = P1 (1); corrected total energy (MP2020 scheme) = -8.03 eV per atom; crystal system = triclinic; formation energy = -111.6 eV per formula unit
1.0
8.7846 0.0000 0.0000
-4.3784 7.6580 0.0000
-0.0016 -0.0363 22.5860
Na Y Ti P O
9 3 9 18 72
direct
0.0000 0.0000 0.0000 Na
0.0081 0.9994 0.5014 Na
0.0454 0.3450 0.5863 Na
0.3173 0.3473 0.0848 Na
0.3410 0.6770 0.1679 Na
0.3512 0.6865 0.6727 Na
0.3776 0.0127 0.2525 Na
0.6752 0.3432 0.8364 Na
0.6839 0.3525 0.3387 Na
0.3420 0.6854 0.0143 Y
0.3496 0.6861 0.5215 Y
0.6862 0.3523 0.1923 Y
0.9996 0.0035 0.1486 Ti
0.0076 0.0020 0.6524 Ti
0.0083 0.0113 0.3561 Ti
0.0090 0.0118 0.8525 Ti
0.3410 0.6677 0.3191 Ti
0.3409 0.6753 0.8179 Ti
0.6716 0.3427 0.4821 Ti
0.6738 0.3431 0.6920 Ti
0.6785 0.3443 0.9819 Ti
0.0110 0.2997 0.7515 P
0.0178 0.7319 0.2556 P
0.0397 0.6775 0.9149 P
0.0434 0.3790 0.4189 P
0.2834 0.2988 0.2538 P
0.2971 0.0081 0.7528 P
0.3413 0.3761 0.9168 P
0.3433 0.9760 0.4162 P
0.3786 0.0523 0.0875 P
0.3872 0.3322 0.5885 P
0.6416 0.6763 0.4171 P
0.6423 0.9771 0.9152 P
0.6819 0.0650 0.5889 P
0.6838 0.6402 0.0844 P
0.7177 0.9960 0.2552 P
0.7191 0.7222 0.7526 P
0.9488 0.6292 0.5882 P
0.9658 0.3345 0.0844 P
0.0031 0.8301 0.3091 O
0.0154 0.8362 0.9025 O
0.0190 0.1963 0.4066 O
0.0376 0.2132 0.6947 O
0.0408 0.8429 0.1986 O
0.1291 0.6403 0.5855 O
0.1425 0.6499 0.8628 O
0.1428 0.7200 0.9720 O
0.1461 0.5070 0.3663 O
0.1465 0.4441 0.4766 O
0.1540 0.4854 0.0788 O
0.1757 0.4824 0.7600 O
0.1780 0.9814 0.6971 O
0.1808 0.2157 0.1955 O
0.1822 0.1943 0.9036 O
0.1852 0.0047 0.4062 O
- - -

**Outcome**
GGA-PBE SrB12H12, optimized geometry; DFT total energy = -5.2540 eV per atom; symmetry = P31c (159); corrected total energy (MP2020 scheme) = -5.34 eV per atom; crystal system = trigonal; formation energy = -10.9 eV per formula unit
GGA-PBE Pr3GaO6, optimized geometry; DFT total energy = -7.7132 eV per atom; symmetry = Cmc2_1 (36); largest piezoelectric modulus = 0.4 C/m²; corrected total energy (MP2020 scheme) = -8.13 eV per atom; crystal system = orthorhombic; formation energy = -34.2 eV per formula unit
GGA-PBE Na3YTi3P6O24, optimized geometry; DFT total energy = -7.5811 eV per atom; total moment = 0.000 μB per atom; symmetry = P1 (1); corrected total energy (MP2020 scheme) = -8.03 eV per atom; crystal system = triclinic; formation energy = -111.6 eV per formula unit